It is suprising how history sometimes jumps out of the page and a forgotten link with the past is found to be still in the present. I had read the excellent and definitive treatise by Chubb and Duckworth on the Burmese paddle steamers of the Irrawaddy Flotilla many years ago and had consigned this in my mind as a subject from the past. A subject from history. A subject for historians. All links with the present gone.
And then, one afternoon in 1999, I was browsing through a copy of The Times and out from the pages leapt an obituary for a Mr Stuart Macdonald (pictured above), the last head of this famed steamship company, who had just died in Australia at the age of 92. He had lived on for nearly half a century after the demise of his fleet, making a new life for himself, doing other things elsewhere in the world, his contribution to running this legendary paddle steamer company largely forgotten. Suddenly the past was there in the present.
Like so many servants of the Irrawaddy Flotilla Company, Mr Macdonald was a Scot, in his case from Greenock. He moved out to Burma at the age of 25 as a Shipping Assistant and by the Second World War was well on the way to a senior management position. As the international situation deteriorated it fell to him to be in the forefront of the task of burning, demolishing and scuttling the company property including paddle steamers before the invading Japanese army arrived. He and some of his colleagues were successful in this and managed to escape but only just and only after abandoning their cars and making off through the jungle and over the hills from Burma to Assam, a difficult journey which took almost a fortnight.
After the war, Mr Macdonald returned to Burma but the tide of European colonialism was running out and, in 1950, he returned to Britain having transferred what remained of the company to the newly formed government of an independent state. Without a job and income he worked packing eggs but, given his natural drive, in a short time he became manager of the company which he then expanded into the larger and more successful Stonegate Farmers Ltd. In 1968 he retired and moved with his family to Australia where he lived until his death in 1999.

Unrelated to this piece: records of crystals
<<<
9
Lattice="5.057 0.000 0.000 0.000 7.126 0.000 -2.528 -3.563 6.964" Properties=species:S:1:pos:R:3 comment="NaNd2PaS5 PBE relaxed" e_form_raw_ev_per_atom=-1.61 crystal_system=orthorhombic magnetic_moment_mub_per_fu=0.00 space_group=Immm pbc="T T T"
Pa 2.528 0.000 0.000
S 0.000 -1.848 4.902
S 0.000 0.000 0.000
S 2.528 1.715 2.062
S 0.000 1.848 4.902
S 2.528 5.411 2.062
Na 0.000 3.563 0.000
Nd 0.000 0.000 2.823
Nd 2.528 3.563 4.141

8
Lattice="-8.321 -3.221 -1.771 2.835 -2.837 -8.164 -2.097 -5.241 -3.975" Properties=species:S:1:pos:R:3 comment="AlAsCl2 PBE relaxed" e_form_raw_ev_per_atom=-0.24 polymorph_energy_ev_per_atom=0.3794 crystal_system=tetragonal magnetic_moment_mub_per_fu=2.00 space_group=I-42d pbc="T T T"
Cl -6.811 -8.793 -10.413
Cl -4.085 -3.181 -2.847
Cl -1.077 -3.983 -6.591
Cl -3.192 -6.641 -7.968
As -6.580 -5.746 -5.356
As 0.000 0.000 0.000
Al -2.743 -3.029 -4.967
Al -1.002 -5.554 -8.553

11
Lattice="5.923 0.152 0.173 -0.263 5.293 0.147 -0.263 -0.559 5.265" Properties=species:S:1:pos:R:3 comment="Nb2Bi2O7 PBE relaxed" e_form_raw_ev_per_atom=-1.85 crystal_system=monoclinic magnetic_moment_mub_per_fu=0.00 space_group=C2/m pbc="T T T"
Nb 2.914 3.526 4.031
Nb 2.483 1.360 1.554
O 1.410 0.093 2.528
O 1.494 2.711 3.100
O 2.961 0.076 0.087
O 3.987 2.392 5.157
O 3.987 4.793 3.057
O 3.902 2.174 2.486
O 1.410 2.494 0.428
Bi -0.263 0.754 4.117
Bi -0.263 3.980 1.295

3
Lattice="3.682 0.000 0.000 0.000 3.682 0.000 -1.841 -1.841 8.102" Properties=species:S:1:pos:R:3 comment="Eu2Th PBE relaxed" crystal_system=tetragonal ef_ev_per_atom=0.149 magnetic_moment_mub_per_fu=14.90 space_group=I4/mmm pbc="T T T"
Eu 0.000 0.000 5.518
Eu 1.841 1.841 2.585
Th 0.000 0.000 0.000

----------

(1)
DFT (PBE-GGA) results for crystalline MgSO2 at its relaxed geometry.

The value obtained for the total energy is -4.086 eV per atom. As for the energy relative to the lowest polymorph listed for this composition: 1206 meV per atom. As for the density of states at the Fermi level: 4.157 states/eV per cell. As for the uncorrected formation energy: -0.1761 eV/atom. The magnetic moment comes out at 0.000 μB per atom. Its mass density is 2.68 g cm⁻³.

It has space group R-3m (No. 166, hexagonal axes), with a = 3.3360 Å, b = 3.3360 Å, c = 17.0169 Å, α = 90.00°, β = 90.00° and γ = 120.00°. The inequivalent atoms are Mg at (0.0000, 0.0000, 0.0000), S at (0.0000, 0.0000, 0.5000) and O at (0.0000, 0.0000, 0.1148).

(2)
DFT (PBE-GGA) results for crystalline PrNdSe2 at its relaxed geometry.

The value obtained for the total energy is -5.942 eV per atom. As for the energy relative to the lowest polymorph listed for this composition: 29 meV per atom. As for the density of states at the Fermi level: 3.080 states/eV per cell. As for the uncorrected formation energy: -1.8133 eV/atom. The magnetic moment comes out at 0.000 μB per atom. Its mass density is 6.70 g cm⁻³.
>>>

The steamers of the Irrawaddy Flotilla came in various shapes and sizes. Amongst the biggest were the grand Main Line paddle steamers like the Mindoon (pictured above) built by Denny of Dumbarton in 1885 and 310ft in length. This style of steamer generally had no bridge, the captain conning his ship from a position towards the bow on the main (lower) deck where the wheel was sited with the extended veranda above the captain’s head reserved to give the best views of the river scenery to the first class passengers taking tea on deck.

Smaller sternwheelers included the Hata (pictured above) built in 1887 for the Chindwin River services. This picture suggests that she was also a particularly cool and airy ship.

Here the page breaks off for data records:
- - -
Computed, not measured: crystalline K2Ca2Sb at its relaxed geometry at the PBE level of DFT.

Properties
DOS(E_F)   8.43 states/eV per cell
Size of the total moment   0.000 μB per formula unit
Space-group type   No. 127
Energy   -0.1691 Ry per atom

Cell: 8.3029 8.3029 6.8855 Å, 90.00 90.00 90.00°
Positions (direct):
K 0.1760 0.3240 0.0000
K 0.3240 0.8240 0.0000
K 0.6760 0.1760 0.0000
K 0.8240 0.6760 0.0000
Ca 0.1639 0.6639 0.5000
Ca 0.3361 0.1639 0.5000
Ca 0.6639 0.8361 0.5000
Ca 0.8361 0.3361 0.5000
Sb 0.0000 0.0000 0.5000
Sb 0.5000 0.5000 0.5000

=====

(1)
Here is MgFeS2 after structural relaxation from the Alexandria database. Energies are from PBE-GGA.

Computed properties:
The value obtained for the uncorrected formation energy is -1.720 eV per formula unit.

abc: 3.8136 3.8136 21.1285
angles: 90.00 90.00 120.00
Space group R-3m (No. 166, hexagonal axes)
One atom of each set of equivalent atoms:
Mg (0.0000, 0.0000, 0.0000)
Fe (0.0000, 0.0000, 0.5000)
S (0.0000, 0.0000, 0.3980)

---

(2)
Here is InRe2Mo after structural relaxation from the Alexandria database. Energies are from PBE-GGA.

abc: 2.8564 2.8564 28.1065
angles: 90.00 90.00 120.00
Space group R3m (No. 160, hexagonal axes)
One atom of each set of equivalent atoms:
In (0.0000, 0.0000, 0.0000)
Re (0.0000, 0.0000, 0.4970)
Re (0.0000, 0.0000, 0.7548)
Mo (0.0000, 0.0000, 0.2449)

---

(3)
Here is PuTeAu after structural relaxation from the Alexandria database. Energies are from PBE-GGA.

Computed properties:
The value obtained for the uncorrected formation energy is -1.608 eV per formula unit.

abc: 4.5575 4.5575 4.6084
angles: 90.00 90.00 120.00
Space group P3m1 (No. 156)
One atom of each set of equivalent atoms:
Pu (0.0000, 0.0000, 0.0000)
Te (0.3333, 0.6667, 0.3940)
Au (0.6667, 0.3333, 0.6956)

---

(4)
Here is AlAsP2 after structural relaxation from the Alexandria database. Energies are from PBE-GGA.

Computed properties:
The excess energy over the best structure of this formula in the dataset is 0.4805 eV per atom.

abc: 6.359 6.359 6.359
angles: 90.00 90.00 90.00
Space group Fm-3m (No. 225)
One atom of each set of equivalent atoms:
Al (0.000, 0.000, 0.000)
As (0.000, 0.000, 0.500)
P (0.250, 0.250, 0.250)

---

(5)
Here is Ac6Ni2PbBr3 after structural relaxation from the Alexandria database. Energies are from PBE-GGA.

Computed properties:
The value obtained for the uncorrected formation energy is -9.979 eV per formula unit.

abc: 20.256 4.491 9.666
angles: 90.00 106.06 90.00
Space group C2/m (No. 12)
One atom of each set of equivalent atoms:
Ac (0.023, 0.000, 0.257)
Ac (0.171, 0.500, 0.131)
Ac (0.179, 0.500, 0.552)
Ni (0.173, 0.000, 0.340)
Pb (0.000, 0.500, 0.000)
Br (0.000, 0.500, 0.500)
Br (0.154, 0.000, 0.826)

---

(6)
Here is PmTm5Te4 after structural relaxation from the Alexandria database. Energies are from PBE-GGA.

Computed properties:
The value obtained for the uncorrected formation energy is -8.436 eV per formula unit.

abc: 18.226 4.129 8.513
- - -

Like so many of the steamers she was also a product of Denny and, at 100ft in length, was about Kingswear Castle’s size although rather more developed in the “plenty of decks” department.

Navigation in the fast moving currents of the river, amongst shifting sandbanks and through the occasional whirlpool, can never have been easy and a number of steamers came to grief, like the Rangoon (pictured above), which became stranded and broke her back in 1873 only a year after her arrival fresh from her builders R Duncan of Glasgow. Her engines were by Rankin and Blackmore who were to provide the machinery for a British paddle steamer called the Waverley three quarters of a century later.
The larger steamers carried European, particularly British and most particularly Scottish captains, chief and second officers, chief, second, third and fourth engineers with the rest of the crew made up from various local and other Asian nationalities whilst the smallest steamers would have had a European captain and chief engineer with Chittagonians on deck and tending the engine.

These materials data were left in the page by mistake
____________
Model P:
{
  "formula": "MgB2Te",
  "functional": "GGA-PBE",
  "state": "relaxed",
  "lattice_angstrom": [[-1.1099, -1.9497, 5.1576], [1.1829, -5.2227, -1.7198], [4.6146, -2.9526, 2.9436]],
  "species": ["Mg", "Te", "B", "B", "Mg", "Te", "B", "B"],
  "fractional_positions": [[0.2500, 0.7500, 0.5000], [0.0000, 0.0000, 0.0000], [0.8750, 0.8925, 0.7500], [0.6425, 0.1250, 0.2500], [0.5000, 0.5000, 0.0000], [0.7500, 0.2500, 0.5000], [0.3750, 0.3575, 0.7500], [0.1075, 0.6250, 0.2500]],
  "magnetic_moment_mub_per_cell": 0.00,
  "mass_density_g_cm3": 3.81,
  "n_ef_per_ev_atom": 0.161
}

***

Model Q:
{
  "formula": "MgB2Te",
  "functional": "GGA-PBE",
  "state": "relaxed",
  "lattice_angstrom": [[2.7590, -2.8580, 1.9004], [-1.5926, -3.4442, 2.2343], [0.4230, -4.0685, -1.6308]],
  "species": ["Te", "B", "B", "Mg"],
  "fractional_positions": [[0.5000, 0.5000, 0.5000], [0.7500, 0.7500, 0.7500], [0.2500, 0.2500, 0.2500], [0.0000, 0.0000, 0.0000]],
  "magnetic_moment_mub_per_cell": 0.00,
  "mass_density_g_cm3": 4.77,
  "n_ef_per_ev_atom": 0.577
}

***

Which one is most stable, and which one is least stable? model P is the most stable of them, while model Q is the least stable.

***

Model P:
{
  "formula": "MgBTe2",
  "functional": "GGA-PBE",
  "state": "relaxed",
  "lattice_angstrom": [[2.6059, 0.0000, 7.1545], [-1.3030, 2.2568, 7.1545], [-1.3030, -2.2568, 7.1545]],
  "species": ["Te", "Mg", "Te", "B"],
  "fractional_positions": [[0.9041, 0.9041, 0.9041], [0.5000, 0.5000, 0.5000], [0.0959, 0.0959, 0.0959], [0.0000, 0.0000, 0.0000]],
  "magnetic_moment_mub_per_cell": 0.00,
  "mass_density_g_cm3": 3.82,
  "n_ef_per_ev_atom": 0.487
}

***

Model Q:
{
  "formula": "MgBTe2",
  "functional": "GGA-PBE",
  "state": "relaxed",
  "lattice_angstrom": [[6.0155, 0.0000, 0.0000], [0.0000, 6.0155, 0.0000], [3.0078, 3.0078, 6.0862]],
  "species": ["Te", "Mg", "Te", "Te", "Mg", "B", "Te", "B"],
  "fractional_positions": [[0.1863, 0.6250, 0.2500], [0.0000, 0.0000, 0.0000], [0.5637, 0.1250, 0.2500], [0.8750, 0.8137, 0.7500], [0.7500, 0.2500, 0.5000], [0.2500, 0.7500, 0.5000], [0.3750, 0.4363, 0.7500], [0.5000, 0.5000, 0.0000]],
  "magnetic_moment_mub_per_cell": 0.00,
  "mass_density_g_cm3": 4.38,
  "n_ef_per_ev_atom": 0.324
}

***

Which one is most stable, and which one is least stable? model Q is the most stable of them, while model P is the least stable.

***

Model P:
{
  "formula": "MgB3Te",
  "functional": "GGA-PBE",
  "state": "relaxed",
  "lattice_angstrom": [[4.4530, 0.0000, 0.0000], [0.0000, 4.4530, 0.0000], [0.0000, 0.0000, 4.4530]],
  "species": ["B", "B", "Mg", "B", "Te"],
  "fractional_positions": [[0.0000, 0.5000, 0.0000], [0.0000, 0.0000, 0.5000], [0.0000, 0.0000, 0.0000], [0.5000, 0.0000, 0.0000], [0.5000, 0.5000, 0.5000]],
  "magnetic_moment_mub_per_cell": 0.00,
  "mass_density_g_cm3": 3.47,
  "n_ef_per_ev_atom": 0.642
}

***

Model Q:
{
  "formula": "MgB3Te",
  "functional": "GGA-PBE",
  "state": "relaxed",
____________
End of the materials data

Another problem in that part of the world was going aground in the rainy season. If a captain had the misfortune to touch the bottom just as the sun was coming out, he might have had some time to wait for another set of heavy showers to fill up the river to lift him off. The Momein, (pictured above) built by Denny in 1885, ran aground on 20th July 1919 just as the rainy season ended and had to wait eleven months until 30th June 1920 when the rains came again in sufficient quantity to top up the river and float the ship off.
At the height of the success of the Irrawaddy Flotilla Company, an average passenger from Britain might have felt very much at home on the steamers. Naturally the scenery and climate were somewhat different but, with most of the paddlers built on the Clyde, with all the senior management and crew positions in the fleet being held by Europeans so many of whom were British and, more often than not, Scots, no doubt as the paddlers flapped their way through the jungle, “neeps and tatties” graced the lunch plates from time to time as the conversation danced around the waterside at Largs.
But such times have gone. After 1988 Burma re-invented itself as the Republic of Myanmar and, for some years, its borders were closed to outside visitors. My atlas (1996) tells me that the political situation was volatile and that political unrest had affected the economy.
However, the Mayanmar government now has a website promoting tourism and a revived “Irrawaddy Flotilla Co” is offering some excursions on the river. So, for the more adventurous and intrepid paddle steamer lover, a new opportunity is there to travel in the footsteps of Mr Macdonald and explore the river served by the famous Irrawaddy Flotilla of paddle steamers.
Kingswear Castle returned to service in 2023 after the first part of a major rebuild which is designed to set her up for the next 25 years running on the River Dart. The Paddle Steamer Kingswear Castle Trust is now fund raising for the second phase of the rebuild. You can read more about the rebuilds and how you can help if you can here.
John Megoran